Thanks to a generous MATCHING GIFT from PYGMALION as well as from donors R.J. Brooks & George Guerra, every gift given during this event was matched up to $7500 on a dollar-for-dollar basis! So far, including matching funds, we have raised $17,250 through this event and auction and our goal is $19,000. Help us reach our final goal of $50,000 in finishing funds.
On Saturday September 26, as part of the PYGMALION Festival, Jimmy in Saigon held its first ever virtual fundraiser and auction. The free event features a conversation between Director Peter McDowell and Executive Producer Dan Savage, moderated by Hollywood producer Helen Estabrook (Whiplash, Tully, The Front Runner), a brand new clip from the rough cut of Jimmy in Saigon, as well as musical performances from Robbie Fulks, Acoustic Eidolon, the film’s composer John McDowell with Luna McDowell, JEMS, and Nora O’Connor, and special guests including author Jonathan Ames.
Jimmy in Saigon is a documentary exploring the mysterious death of Peter McDowell’s eldest brother, James, who died age 24 in Saigon. The film explores unspoken grief and family secrets, while honoring those lost long ago.
PYGMALION is a prominent music and culture festival held yearly in Champaign-Urbana, IL (Peter’s hometown). This year, the festival will be held online and is hosting Jimmy in Saigon’s fundraising event on September 26. PYGMALION attracts audiences from around the country with its incredible roster of artists and speakers, which in past years has included Andrew Bird, Tig Notaro, George Saunders, Roxane Gay, Janelle Monae, Iron and Wine, and Animal Collective, among others.
Our virtual fundraiser is free to attend, but please consider supporting the event through our silent auction or through the purchase of a VIP ticket. VIP tickets will give you access to a private chatroom with Peter and other VIP ticket holders for the duration of the event, where Peter will share films, music and TV that has influenced his creative direction, exclusive behind the scenes content from the Jimmy in Saigon, and he will be available to answer any questions about the film.
If you are unable to attend, we welcome any donations (which are tax-deductible) through our Film Independent fundraising page.
We are hard at work on a rough cut and aim to finish the film by winter/spring of 2020. Your kind donations go directly to the completion of Jimmy in Saigon.

You can read more about Peter, Dan, and the rest of the Jimmy in Saigon team here.

Robbie Fulks, Acoustic Eidolon, John McDowell, JEMS, and Nora O’Connor (left to right)
A Big thank you to our host committee for their generous participation in this event:
Johnny Atorino, Sara Berliner, Guy Brenner, Tracy Ann Chapel, Kelly Creedon, Sarah Dandelles, Sonia Dumont and David Witonsky, Janet Flynn-Royko, Sandy Smith Gerding, George Guerra and R.J. Brooks, Bret Hamilton + Becca Whiting, Jennifer Herlein, Allison Holton, Nikki Joshi, Martha Kasten, Lisa Leshne, Laura Lynch, Stosh Mintek and Dana Rizer, Sacha Mullin, Lucia Palmarini, Mia Park, Maureen Reagan, Norma Rodriguez, Ari, Yoriko and Rena Salomon Yamamoto, Carrie Sandahl, Todd Savage, Peter Schulman, Emi Takahara, Khuyen Tuong, Helen Vasey, Lilli Weisz and Jed Silverstein, David Yanko and Gülgün Kayim.
we’d like to thank all of our generous auction donors to this event. Please join us in showing your appreciation by visiting their websites and enjoying and exploring their creations:
Ari Salomon: arisalomon.com
Andrew Bird and Jay Ryan: andrewbird.net and thebirdmachine.com
Amber Mark (c/o Alex Spadea): ambermarkmusic.com
Ann McDowell
Carrie Owerko: theplayground.carrieowerko.com
Code of the Freaks (c/o Carrie Sandahl) https://www.codeofthefreaks.com
**The text is interrupted by records of crystals:**
........
# Zn2Te2O5
Theoretical X-ray powder pattern, CuKα. Input: the GGA-PBE geometry in OQMD.
Peak positions follow from Bragg's law for the DFT cell and can differ from measured ones.

Atomic structure:
Lattice parameters (Å, degrees): 3.9898 3.9898 8.1235 90.00 90.00 90.00
Fractional coordinates of all 9 atoms:
1 Zn 0.0000 0.0000 0.0000
2 Zn 0.0000 0.0000 0.5000
3 Te 0.5000 0.5000 0.2394
4 Te 0.5000 0.5000 0.7606
5 O 0.0000 0.5000 0.1773
6 O 0.0000 0.5000 0.8227
7 O 0.5000 0.0000 0.1773
8 O 0.5000 0.0000 0.8227
9 O 0.5000 0.5000 0.0000

The 8 most intense peaks (2θ = 10–80°), in order of falling intensity:
2theta	I_rel
31.4	100
31.7	41
56.3	38
45.5	28
55.8	23
22.3	13
65.6	12
10.9	10

~~~~~

Starting from a crystal structure in the Materials Project, relaxed with PBE, the XRD peak list of Li2Zr2O5 was computed for Cu Kα (weighted mean of Kα1 and Kα2).

Largest 6 diffraction maxima, by intensity, 2θ from 15° to 90°:
d = 3.193 Å, 2θ 27.94, I 1000
d = 2.881 Å, 2θ 31.04, I 521
d = 2.966 Å, 2θ 30.13, I 366
d = 4.322 Å, 2θ 20.55, I 354
d = 3.270 Å, 2θ 27.27, I 308
d = 3.700 Å, 2θ 24.06, I 290

Structure:
a = 10.375 Å, b = 3.931 Å, c = 13.143 Å
α = 90.00°, β = 123.57°, γ = 90.00°
Element x y z (fractional)
Li: 0.046 0.240 0.452
Li: 0.046 0.260 0.952
Li: 0.076 0.703 0.330
Li: 0.076 0.797 0.830
Li: 0.924 0.203 0.170
Li: 0.924 0.297 0.670
Li: 0.954 0.740 0.048
Li: 0.954 0.760 0.548
Zr: 0.331 0.139 0.364
Zr: 0.331 0.361 0.864
Zr: 0.331 0.685 0.145
Zr: 0.331 0.815 0.645
Zr: 0.669 0.185 0.355
Zr: 0.669 0.315 0.855
Zr: 0.669 0.639 0.136
Zr: 0.669 0.861 0.636
O: 0.115 0.748 0.011
O: 0.115 0.752 0.511
O: 0.124 0.201 0.339
O: 0.124 0.299 0.839
O: 0.291 0.660 0.291
O: 0.291 0.840 0.791
O: 0.386 0.176 0.214
O: 0.386 0.324 0.714
O: 0.414 0.634 0.032
O: 0.414 0.866 0.532
O: 0.586 0.134 0.468
O: 0.586 0.366 0.968
O: 0.614 0.676 0.286
O: 0.614 0.824 0.786
O: 0.709 0.160 0.209
O: 0.709 0.340 0.709
O: 0.876 0.701 0.161
O: 0.876 0.799 0.661
O: 0.885 0.248 0.489
O: 0.885 0.252 0.989



Starting from a crystal structure in the Materials Project, relaxed with PBE, the XRD peak list of Li2ZrO3 was computed for Cu Kα (weighted mean of Kα1 and Kα2).

Largest 6 diffraction maxima, by intensity, 2θ from 15° to 90°:
d = 4.421 Å, 2θ 20.09, I 1000
d = 3.392 Å, 2θ 26.27, I 598
d = 2.155 Å, 2θ 41.93, I 531
d = 1.561 Å, 2θ 59.20, I 331
d = 4.057 Å, 2θ 21.91, I 331
d = 2.263 Å, 2θ 39.83, I 307

Structure:
a = 5.323 Å, b = 5.323 Å, c = 5.461 Å
α = 101.12°, β = 101.12°, γ = 118.40°
Element x y z (fractional)
Li: 0.076 0.924 0.750
........
Cookbook LA: cookbookla.com
David Csicsko: https://csicsko.com/
The Flat Five (c/o Nora O’Connor Kean): theflatfivechicago.com
George Guerra
Helen Dannelly: helendannelly.com
Inna Faliks: innafaliks.com
Jeffrey Ray
JEMS: wearejems.com
Jim Newberry: jimnewberry.com
The Hideout (c/o Alice Blander and Tim Tuten): hideoutchicago.com
Kate Steffens: thefamilyacid.com
Kent Smith: kentsmith.format.com
La Canada Flintridge Country Club: lcfcountryclub.com
Laurie Szujewska: ensatinapress.com
Martha Kasten: marthakasten.wordpress.com
Matt Bodett: mattbodett.com
Mia Park: miaparkyoga.com
Michael Attebury
Nadine Lollino: yoga.movementlab.dance
Nancy Olson
Rena Yamamoto
Sacha Mullin: sachamullin.com
Sandy Smith Gerding: sandysmithgerdingartwork.com
Stosh Mintek and Dana Rizer
Theodore Gray (c/o Sylvie Khan): theodoregray.com
Timothy Daly: https://ozmarecords.com
Vote Like a Mother (c/o Sara Berliner): votelikeamother.org
Yoriko Yamamoto